[Source]
********
1.
55
Properties=species:S:1:pos:R:3 method="wB97M-V/def2-TZVPD" multiplicity=1 homo_ev=-11.1 e_lumo_ev=-3.917 total_charge=+1 gap_ev=7.1759 de_lowest_ev=0.000 max_force_ev_per_a=0.40
H 0.3920 -0.1187 2.7012
C 2.4462 -2.5309 1.7716
C 2.1635 3.7159 -0.0074
H 4.4857 0.9326 1.8932
H 1.5554 1.1713 3.0266
C 4.3390 -0.1496 1.9060
I -6.5301 -3.4217 -0.0004
H 4.6656 -0.5140 2.8846
Si 2.5734 -0.6780 1.6420
H -1.1566 3.1562 -0.0381
H 1.6139 -0.4163 -3.9234
H -4.9885 1.6972 0.0660
C 1.4363 0.0239 -2.9401
C -4.3621 0.8174 0.0445
H 0.3887 -0.2046 -2.6899
H 3.6362 2.1493 0.0116
H -3.9031 -4.9667 -0.0514
Si 2.5884 -0.6868 -1.6255
C -2.6962 -1.3303 -0.0089
H 4.6712 -0.4863 -2.8773
H 3.2287 -3.0230 -1.0466
H 4.9972 -0.5942 1.1567
H 4.4486 0.9765 -1.9194
C -2.9759 0.9620 0.0325
H 2.8874 4.5210 -0.0037
H 1.5182 -2.9109 -1.4668
C 0.7964 4.0101 -0.0214
C -4.0810 -1.5738 0.0022
C 1.6369 1.3767 -0.0034
C 4.3363 -0.1098 -1.9061
Al -0.1211 -0.2567 -0.0162
H 2.6868 -2.8478 2.7900
I -0.8058 -5.2110 -0.0870
H 5.0106 -0.5154 -1.1492
C -4.5014 -2.9299 -0.0144
H 3.1335 -3.0439 1.0965
H 0.4423 5.0305 -0.0287
C 2.5861 2.4057 0.0011
H 1.4339 -2.8711 1.5354
H -5.9888 -0.5642 0.0388
C -2.1868 -3.6641 -0.0503
O -0.4713 -1.9701 -0.0429
C -4.9137 -0.4402 0.0294
H -2.5315 1.9433 0.0455
C -3.5772 -3.9362 -0.0395
C 2.5166 -2.5441 -1.7214
C -1.7439 -2.3714 -0.0360
C -0.0946 2.9724 -0.0260
C 1.8488 -0.0852 0.0030
C 1.4453 0.0864 2.9460
H 1.5178 1.1097 -3.0395
H 1.6154 -0.3413 3.9361
H 2.7552 -2.8711 -2.7370
N 0.3126 1.6850 -0.0167
N -2.1524 -0.0744 0.0060


2.
56
Properties=species:S:1:pos:R:3 method="wB97M-V/def2-TZVPD" multiplicity=3 s_squared=2.01 homo_ev="-3.2 / -4.8" e_lumo_ev="2.949 / 2.861" total_charge=-1 gap_ev="6.1611 / 7.6907" de_lowest_ev=0.000 max_force_ev_per_a=0.17
H -4.9066 0.8540 -0.6026
C 3.2175 -2.1539 1.8687
H -0.1827 -1.5260 4.0978
H -3.5540 -2.4470 -2.8322
C 2.4375 1.2323 -1.2136
H -1.0375 1.1787 -2.3804
C 2.4763 -2.1207 0.6786
C 5.0564 3.1142 -3.1010
H -2.0815 -1.7709 -3.5345
H -0.7393 2.7974 0.9215
C 5.8727 2.6538 -0.8962
H 2.8128 -2.2447 -0.3380
C 2.2842 -1.8876 2.8491
C -0.5958 2.4093 3.1363
Pd -0.3579 -0.2968 -0.3039
H 2.3806 -1.8067 3.9196
H 4.5340 1.5688 0.3885
H -4.9558 -0.0024 -3.8567
C -2.1564 -2.9908 2.9088
N -0.4386 0.2369 2.7577
C 1.3958 0.6597 -0.9404
H -4.4572 1.6298 -3.3907
N 1.2001 -1.8654 0.9212
C 3.6583 1.9011 -1.5347
C -0.6481 2.1323 1.7644
C 3.8684 2.4689 -2.7983
H -3.4371 0.6701 -4.4633
H 5.1944 3.5456 -4.0856
H -3.2572 -2.8497 -0.1414
H -1.9865 -3.2278 3.9458
N -1.4069 -2.0580 2.2950
C -3.0617 -3.4893 1.9974
H 6.6530 2.7229 -0.1472
C -1.7032 0.8836 -1.5665
H -0.6467 3.3678 3.6223
H -0.3671 0.8788 4.7591
C 6.0667 3.2121 -2.1531
C -2.7779 -2.7811 0.8215
H 6.9945 3.7177 -2.3912
C -4.4379 -0.1307 -0.6905
H -3.8119 -4.2447 2.1558
C -2.6768 -1.8285 -2.6185
H 3.0798 2.3942 -3.5356
H -1.9821 1.7831 -1.0087
H -5.2323 -0.8600 -0.8734
H -3.9699 -0.3613 0.2667
N -1.7861 -1.9223 1.0081
N 1.0890 -1.7183 2.2557
Si -3.1687 -0.0825 -2.0863
C -4.0942 0.6186 -3.5913
C -0.4544 1.1688 3.7254
B -0.2324 -1.2876 2.9162
H 4.2701 -2.3414 1.9935
H -2.0675 -2.3390 -1.8695
C 4.6873 2.0067 -0.5895
N -0.5597 0.8280 1.5597

* * * * *

# 1
This record from the OMol25 dataset describes C6H6O as an isolated structure. The level of theory is ωB97M-V/def2-TZVPD.

Output
Energy above the lowest of the compared OMol25 structures with the same formula, charge and spin: 512.3 kJ/mol
HOMO (spin up / spin down): -0.299 / -0.299 Eh
Multiplicity: 1
HOMO-LUMO gap (spin up / spin down): 8.3 / 8.3 eV
LUMO energy (spin up / spin down): 0.19 / 0.19 eV

Last column: Löwdin charge in e.
Element x y z (Å)
C 2.1036 0.0941 1.2933  0.11
C 1.5540 -0.4903 0.3739  -0.13
C 0.5766 -0.5633 -0.6697  -0.19
C 0.2398 0.7498 -0.4792  -0.02
C -1.1478 0.8344 0.0466  -0.17
O -1.5741 -0.5038 0.1971  -0.12
C -0.7306 -1.3203 -0.6222  -0.15
H 2.8341 0.5901 1.8801  0.02
H 0.9322 1.5806 -0.5515  0.13
H -1.1798 1.3269 1.0312  0.14
H -1.7530 1.4062 -0.6628  0.13
H -1.1701 -1.3770 -1.6317  0.12
********
[Activity]
Next, type out all of the rows further up exactly.
[Completed]
1.
55
Properties=species:S:1:pos:R:3 method="wB97M-V/def2-TZVPD" multiplicity=1 homo_ev=-11.1 e_lumo_ev=-3.917 total_charge=+1 gap_ev=7.1759 de_lowest_ev=0.000 max_force_ev_per_a=0.40
H 0.3920 -0.1187 2.7012
C 2.4462 -2.5309 1.7716
C 2.1635 3.7159 -0.0074
H 4.4857 0.9326 1.8932
H 1.5554 1.1713 3.0266
C 4.3390 -0.1496 1.9060
I -6.5301 -3.4217 -0.0004
H 4.6656 -0.5140 2.8846
Si 2.5734 -0.6780 1.6420
H -1.1566 3.1562 -0.0381
H 1.6139 -0.4163 -3.9234
H -4.9885 1.6972 0.0660
C 1.4363 0.0239 -2.9401
C -4.3621 0.8174 0.0445
H 0.3887 -0.2046 -2.6899
H 3.6362 2.1493 0.0116
H -3.9031 -4.9667 -0.0514
Si 2.5884 -0.6868 -1.6255
C -2.6962 -1.3303 -0.0089
H 4.6712 -0.4863 -2.8773
H 3.2287 -3.0230 -1.0466
H 4.9972 -0.5942 1.1567
H 4.4486 0.9765 -1.9194
C -2.9759 0.9620 0.0325
H 2.8874 4.5210 -0.0037
H 1.5182 -2.9109 -1.4668
C 0.7964 4.0101 -0.0214
C -4.0810 -1.5738 0.0022
C 1.6369 1.3767 -0.0034
C 4.3363 -0.1098 -1.9061
Al -0.1211 -0.2567 -0.0162
H 2.6868 -2.8478 2.7900
I -0.8058 -5.2110 -0.0870
H 5.0106 -0.5154 -1.1492
C -4.5014 -2.9299 -0.0144
H 3.1335 -3.0439 1.0965
H 0.4423 5.0305 -0.0287
C 2.5861 2.4057 0.0011
H 1.4339 -2.8711 1.5354
H -5.9888 -0.5642 0.0388
C -2.1868 -3.6641 -0.0503
O -0.4713 -1.9701 -0.0429
C -4.9137 -0.4402 0.0294
H -2.5315 1.9433 0.0455
C -3.5772 -3.9362 -0.0395
C 2.5166 -2.5441 -1.7214
C -1.7439 -2.3714 -0.0360
C -0.0946 2.9724 -0.0260
C 1.8488 -0.0852 0.0030
C 1.4453 0.0864 2.9460
H 1.5178 1.1097 -3.0395
H 1.6154 -0.3413 3.9361
H 2.7552 -2.8711 -2.7370
N 0.3126 1.6850 -0.0167
N -2.1524 -0.0744 0.0060


2.
56
Properties=species:S:1:pos:R:3 method="wB97M-V/def2-TZVPD" multiplicity=3 s_squared=2.01 homo_ev="-3.2 / -4.8" e_lumo_ev="2.949 / 2.861" total_charge=-1 gap_ev="6.1611 / 7.6907" de_lowest_ev=0.000 max_force_ev_per_a=0.17
H -4.9066 0.8540 -0.6026
C 3.2175 -2.1539 1.8687
H -0.1827 -1.5260 4.0978
H -3.5540 -2.4470 -2.8322
C 2.4375 1.2323 -1.2136
H -1.0375 1.1787 -2.3804
C 2.4763 -2.1207 0.6786
C 5.0564 3.1142 -3.1010
H -2.0815 -1.7709 -3.5345
H -0.7393 2.7974 0.9215
C 5.8727 2.6538 -0.8962
H 2.8128 -2.2447 -0.3380
C 2.2842 -1.8876 2.8491
C -0.5958 2.4093 3.1363
Pd -0.3579 -0.2968 -0.3039
H 2.3806 -1.8067 3.9196
H 4.5340 1.5688 0.3885
H -4.9558 -0.0024 -3.8567
C -2.1564 -2.9908 2.9088
N -0.4386 0.2369 2.7577
C 1.3958 0.6597 -0.9404
H -4.4572 1.6298 -3.3907
N 1.2001 -1.8654 0.9212
C 3.6583 1.9011 -1.5347
C -0.6481 2.1323 1.7644
C 3.8684 2.4689 -2.7983
H -3.4371 0.6701 -4.4633
H 5.1944 3.5456 -4.0856
H -3.2572 -2.8497 -0.1414
H -1.9865 -3.2278 3.9458
N -1.4069 -2.0580 2.2950
C -3.0617 -3.4893 1.9974
H 6.6530 2.7229 -0.1472
C -1.7032 0.8836 -1.5665
H -0.6467 3.3678 3.6223
H -0.3671 0.8788 4.7591
C 6.0667 3.2121 -2.1531
C -2.7779 -2.7811 0.8215
H 6.9945 3.7177 -2.3912
C -4.4379 -0.1307 -0.6905
H -3.8119 -4.2447 2.1558
C -2.6768 -1.8285 -2.6185
H 3.0798 2.3942 -3.5356
H -1.9821 1.7831 -1.0087
H -5.2323 -0.8600 -0.8734
H -3.9699 -0.3613 0.2667
N -1.7861 -1.9223 1.0081
N 1.0890 -1.7183 2.2557
Si -3.1687 -0.0825 -2.0863
C -4.0942 0.6186 -3.5913
C -0.4544 1.1688 3.7254
B -0.2324 -1.2876 2.9162
H 4.2701 -2.3414 1.9935
H -2.0675 -2.3390 -1.8695
C 4.6873 2.0067 -0.5895
N -0.5597 0.8280 1.5597

* * * * *

# 1
This record from the OMol25 dataset describes C6H6O as an isolated structure. The level of theory is ωB97M-V/def2-TZVPD.

Output
Energy above the lowest of the compared OMol25 structures with the same formula, charge and spin: 512.3 kJ/mol
HOMO (spin up / spin down): -0.299 / -0.299 Eh
Multiplicity: 1
HOMO-LUMO gap (spin up / spin down): 8.3 / 8.3 eV
LUMO energy (spin up / spin down): 0.19 / 0.19 eV

Last column: Löwdin charge in e.
Element x y z (Å)
C 2.1036 0.0941 1.2933  0.11
C 1.5540 -0.4903 0.3739  -0.13
C 0.5766 -0.5633 -0.6697  -0.19
C 0.2398 0.7498 -0.4792  -0.02
C -1.1478 0.8344 0.0466  -0.17
O -1.5741 -0.5038 0.1971  -0.12
C -0.7306 -1.3203 -0.6222  -0.15
H 2.8341 0.5901 1.8801  0.02
H 0.9322 1.5806 -0.5515  0.13
H -1.1798 1.3269 1.0312  0.14
H -1.7530 1.4062 -0.6628  0.13
H -1.1701 -1.3770 -1.6317  0.12